### Listing
____________
No. 1
First-principles (PBE) data for crystalline MgCd3 at its relaxed geometry, as listed in the Materials Project.

Cell: 4.5497 4.5497 8.5573 Å, 90.00 90.00 90.00°
With the nearest neighbours (Å) after each atom.
Space group I4/mmm (No. 139)
Symmetry-distinct sites (fractional):
1 Mg 0.0000 0.0000 0.0000 x2  12 Cd 3.12-3.22
2 Cd 0.0000 0.0000 0.5000 x2  8 Cd 3.12, 4 Mg 3.22
3 Cd 0.0000 0.5000 0.2500 x4  8 Cd 3.12-3.22, 4 Mg 3.12

Summary:
Energy relative to the lowest polymorph listed for this composition (meV/atom): 18
Crystal system: tetragonal
Theoretical density (kg/m³): 6779

No. 2
First-principles (PBE) data for crystalline SmP at its relaxed geometry, as listed in the Materials Project.

Cell: 5.8112 5.8112 5.8112 Å, 90.00 90.00 90.00°
With the nearest neighbours (Å) after each atom.
Space group Fm-3m (No. 225)
Symmetry-distinct sites (fractional):
1 Sm 0.0000 0.0000 0.0000 x4  6 P 2.91
2 P 0.0000 0.0000 0.5000 x4  6 Sm 2.91

Summary:
Crystal system: cubic
Theoretical density (kg/m³): 6138
Electronic total energy (eV/atom): -6.63

No. 3
First-principles (PBE) data for crystalline KTeO4 at its relaxed geometry, as listed in the Materials Project.

Cell: 7.8435 6.8208 17.2092 Å, 90.00 92.30 90.00°
With the nearest neighbours (Å) after each atom.
Space group P2_1/c (No. 14)
Symmetry-distinct sites (fractional):
1 K 0.0848 0.0458 0.3994 x4  7 O 2.74-2.98
2 K 0.3919 0.5884 0.2940 x4  4 O 2.63-2.90
3 Te 0.2014 0.5026 0.5127 x4  2 O 1.84-1.98
4 Te 0.4270 0.0235 0.5872 x4  4 O 1.86-1.97
5 O 0.0085 0.1820 0.0215 x4  2 Te 1.98-2.12
6 O 0.0442 0.5642 0.7324 x4  1 O 1.23
7 O 0.0701 0.0783 0.1903 x4  1 O 1.23
8 O 0.2539 0.6109 0.1352 x4  1 Te 1.86
9 O 0.2591 0.0780 0.9152 x4  1 Te 1.84
10 O 0.3510 0.2143 0.0869 x4  1 Te 1.89
11 O 0.3705 0.6009 0.9862 x4  2 Te 1.97-2.13
12 O 0.4061 0.5128 0.8328 x4  1 Te 1.86

Summary:
Magnetic moment (μB/cell): 8.000
Crystal system: monoclinic
Theoretical density (kg/m³): 3331
Electronic total energy (eV/atom): -5.06

No. 4
First-principles (PBE) data for crystalline IF5 at its relaxed geometry, as listed in the Materials Project.

Cell: 15.5704 7.1175 18.7831 Å, 90.00 93.37 90.00°
With the nearest neighbours (Å) after each atom.
Space group C2/c (No. 15)
Symmetry-distinct sites (fractional):
1 I 0.0000 0.2469 0.2500 x4  5 F 1.86-1.94
2 I 0.1062 0.1936 0.5534 x8  5 F 1.86-1.93
3 I 0.2143 0.1882 0.8460 x8  5 F 1.85-1.93
4 F 0.0000 0.4922 0.7500 x4  1 I 1.86
5 F 0.0026 0.2033 0.4922 x8  1 I 1.93
6 F 0.0415 0.0845 0.6276 x8  1 I 1.93
7 F 0.0611 0.4150 0.5879 x8  1 I 1.86
8 F 0.0678 0.2829 0.3374 x8  1 I 1.92
9 F 0.1029 0.2857 0.1987 x8  1 I 1.94
10 F 0.1197 0.0983 0.7842 x8  1 I 1.93
11 F 0.1315 0.3493 0.8773 x8  1 I 1.85
12 F 0.1606 0.3642 0.4910 x8  1 I 1.92
13 F 0.1745 0.0335 0.9218 x8  1 I 1.93
14 F 0.1968 0.2502 0.6250 x8  1 I 1.93
15 F 0.2129 0.1785 0.0840 x8  1 I 1.93
16 F 0.2292 0.3883 0.7787 x8  1 I 1.93

Summary:
Crystal system: monoclinic
Theoretical density (kg/m³): 3546
Electronic total energy (eV/atom): -3.43

No. 5
First-principles (PBE) data for crystalline Er3Ni19B10 at its relaxed geometry, as listed in the Materials Project.

Cell: 13.1053 8.6687 5.7522 Å, 90.00 91.31 90.00°
With the nearest neighbours (Å) after each atom.
Space group C2/m (No. 12)
Symmetry-distinct sites (fractional):
1 Er 0.0000 0.0000 0.0000 x2  14 Ni 2.76-2.88
2 Er 0.1254 0.5000 0.3840 x4  6 B 2.76-2.90, 11 Ni 2.81-3.05
3 Ni 0.0000 0.0000 0.5000 x2  4 B 2.26, 2 Ni 2.41
4 Ni 0.0298 0.2598 0.6983 x8  3 B 2.06-2.16
5 Ni 0.1222 0.5000 0.8717 x4  4 B 2.04-2.12
6 Ni 0.1273 0.2494 0.0733 x8  4 B 2.07-2.14
7 Ni 0.1625 0.0000 0.7036 x4  4 B 2.09-2.30
8 Ni 0.1819 0.0000 0.2706 x4  4 B 2.03-2.12
9 Ni 0.2191 0.2640 0.6974 x8  4 B 2.13-2.32
10 B 0.0000 0.3846 0.0000 x4  1 B 2.00, 6 Ni 2.04-2.09
11 B 0.1179 0.1830 0.4304 x8  6 Ni 2.03-2.26
12 B 0.2461 0.1037 0.9747 x8  1 B 1.80

Summary:
Magnetic moment (μB/cell): 0.046
Crystal system: monoclinic
Theoretical density (kg/m³): 8769
Electronic total energy (eV/atom): -6.39
____________

### Request
The reader should find the line earlier on that holds "0.2940 x4", then echo that line and all lines after it there.

### Result
2 K 0.3919 0.5884 0.2940 x4  4 O 2.63-2.90
3 Te 0.2014 0.5026 0.5127 x4  2 O 1.84-1.98
4 Te 0.4270 0.0235 0.5872 x4  4 O 1.86-1.97
5 O 0.0085 0.1820 0.0215 x4  2 Te 1.98-2.12
6 O 0.0442 0.5642 0.7324 x4  1 O 1.23
7 O 0.0701 0.0783 0.1903 x4  1 O 1.23
8 O 0.2539 0.6109 0.1352 x4  1 Te 1.86
9 O 0.2591 0.0780 0.9152 x4  1 Te 1.84
10 O 0.3510 0.2143 0.0869 x4  1 Te 1.89
11 O 0.3705 0.6009 0.9862 x4  2 Te 1.97-2.13
12 O 0.4061 0.5128 0.8328 x4  1 Te 1.86

Summary:
Magnetic moment (μB/cell): 8.000
Crystal system: monoclinic
Theoretical density (kg/m³): 3331
Electronic total energy (eV/atom): -5.06

No. 4
First-principles (PBE) data for crystalline IF5 at its relaxed geometry, as listed in the Materials Project.

Cell: 15.5704 7.1175 18.7831 Å, 90.00 93.37 90.00°
With the nearest neighbours (Å) after each atom.
Space group C2/c (No. 15)
Symmetry-distinct sites (fractional):
1 I 0.0000 0.2469 0.2500 x4  5 F 1.86-1.94
2 I 0.1062 0.1936 0.5534 x8  5 F 1.86-1.93
3 I 0.2143 0.1882 0.8460 x8  5 F 1.85-1.93
4 F 0.0000 0.4922 0.7500 x4  1 I 1.86
5 F 0.0026 0.2033 0.4922 x8  1 I 1.93
6 F 0.0415 0.0845 0.6276 x8  1 I 1.93
7 F 0.0611 0.4150 0.5879 x8  1 I 1.86
8 F 0.0678 0.2829 0.3374 x8  1 I 1.92
9 F 0.1029 0.2857 0.1987 x8  1 I 1.94
10 F 0.1197 0.0983 0.7842 x8  1 I 1.93
11 F 0.1315 0.3493 0.8773 x8  1 I 1.85
12 F 0.1606 0.3642 0.4910 x8  1 I 1.92
13 F 0.1745 0.0335 0.9218 x8  1 I 1.93
14 F 0.1968 0.2502 0.6250 x8  1 I 1.93
15 F 0.2129 0.1785 0.0840 x8  1 I 1.93
16 F 0.2292 0.3883 0.7787 x8  1 I 1.93

Summary:
Crystal system: monoclinic
Theoretical density (kg/m³): 3546
Electronic total energy (eV/atom): -3.43

No. 5
First-principles (PBE) data for crystalline Er3Ni19B10 at its relaxed geometry, as listed in the Materials Project.

Cell: 13.1053 8.6687 5.7522 Å, 90.00 91.31 90.00°
With the nearest neighbours (Å) after each atom.
Space group C2/m (No. 12)
Symmetry-distinct sites (fractional):
1 Er 0.0000 0.0000 0.0000 x2  14 Ni 2.76-2.88
2 Er 0.1254 0.5000 0.3840 x4  6 B 2.76-2.90, 11 Ni 2.81-3.05
3 Ni 0.0000 0.0000 0.5000 x2  4 B 2.26, 2 Ni 2.41
4 Ni 0.0298 0.2598 0.6983 x8  3 B 2.06-2.16
5 Ni 0.1222 0.5000 0.8717 x4  4 B 2.04-2.12
6 Ni 0.1273 0.2494 0.0733 x8  4 B 2.07-2.14
7 Ni 0.1625 0.0000 0.7036 x4  4 B 2.09-2.30
8 Ni 0.1819 0.0000 0.2706 x4  4 B 2.03-2.12
9 Ni 0.2191 0.2640 0.6974 x8  4 B 2.13-2.32
10 B 0.0000 0.3846 0.0000 x4  1 B 2.00, 6 Ni 2.04-2.09
11 B 0.1179 0.1830 0.4304 x8  6 Ni 2.03-2.26
12 B 0.2461 0.1037 0.9747 x8  1 B 1.80

Summary:
Magnetic moment (μB/cell): 0.046
Crystal system: monoclinic
Theoretical density (kg/m³): 8769
Electronic total energy (eV/atom): -6.39